Thursday, October 08, 2020

bal tosif for sukkah on shmini atzeres

The gemara (Eiruvin 96a) proves that bal tosif does not apply when doing a mitzvah outside its normal time unless one has kavanah l'shem mitzvah.  Were that not true, says the gemara, one who sits in sukkah on Shmini Atzeres should get malkos for bal tosif.  Rashi comments:

 ועוד הישן בשמיני בסוכה ילקה. דמוסיף שמיני על השביעי ואנן מיתב יתבינן בשמיני בספק שביעי לכתחלה אלא שלא בזמנו בלא כוונה לאו תוספת הוא ולהכי שרינן דאי שמיני הוא לא מכוינן למצות סוכה

The gemara in speaking about malkos for sitting in sukkah on Shmini Atzeres in Eretz Yisrael, but Rashi adds in a justification for our doing so in chutz la'aretz not being a violation of bal tosif: Rashi writes that we have in mind that we do not kavanah for mitzvas sukkah if the sfeika d'yoma day is not Sukkos.  

In one of the earliest posts on this blog we discussed (see here, here, and here) Tos question of why there is no bal tosif in blowing additional tekiyos beyond what the Torah requires, i.e. blowing both before and during musaf on R"H.  Tos (R"H 16 answers) that there is no issur of bal tosif in doing a mitzvah a multiple times.  For example, the gemara says that a kohen can duchen multiple times a day  because each tzibur that he duchens in is a new kiyum mitzvah.  

Rashba gives what seems to be a far simpler answer to Tos question: there is never bal tosif in fulfilling a din derabbanan because the Torah gives Chazal license to legislate and add to/change mitzvos.  We blow tekiyos d'meyushav and dme'umad because we are following the takanas Chazal to do the mitzvh that way.  (The Rashba's answer seems so obviously correct that the Achronim struggle to explain why Tos avoided it.)

[Crystal structures from another source follow]
+++
Record 1
ZnCo17: calculated powder diffractogram (Cu Ka), based on DFT lattice parameters and positions (PBE).
Intensities are scaled so that the largest is 100.

Largest 6 diffraction maxima, by angle, 5° ≤ 2θ ≤ 70°:
- 5.66°, I 99.3
- 8.50°, I 31.7
- 43.47°, I 30.5
- 44.72°, I 100.0
- 45.80°, I 37.5
- 51.75°, I 59.1

Crystal structure
Unit cell a=4.2859 b=4.9457 c=31.2239 alpha=90.00 beta=90.03 gamma=90.00
Fractional coordinates of all 36 atoms:
1 Zn 0.1698 0.2500 0.2709
2 Zn 0.8302 0.7500 0.7291
3 Co 0.0000 0.0000 0.0000
4 Co 0.0003 0.0013 0.1952
5 Co 0.0003 0.4987 0.1952
6 Co 0.0000 0.5000 0.0000
7 Co 0.9997 0.5013 0.8048
8 Co 0.9997 0.9987 0.8048
9 Co 0.1603 0.7500 0.2579
10 Co 0.1650 0.2500 0.8693
11 Co 0.1664 0.7500 0.0650
12 Co 0.1668 0.2500 0.0649
13 Co 0.1693 0.7500 0.8703
14 Co 0.3321 0.0026 0.7418
15 Co 0.3321 0.4974 0.7418
16 Co 0.3335 0.0004 0.9350
17 Co 0.3335 0.4996 0.9350
18 Co 0.3340 0.0004 0.1296
19 Co 0.3340 0.4996 0.1296
20 Co 0.4987 0.7500 0.1949
21 Co 0.4988 0.7500 0.8053
22 Co 0.4998 0.2500 0.0003
23 Co 0.5002 0.7500 0.9997
24 Co 0.5012 0.2500 0.1947
25 Co 0.5013 0.2500 0.8051
26 Co 0.6660 0.9996 0.8704
27 Co 0.6660 0.5004 0.8704
28 Co 0.6665 0.9996 0.0650
29 Co 0.6665 0.5004 0.0650
30 Co 0.6679 0.5026 0.2582
31 Co 0.6679 0.9974 0.2582
32 Co 0.8307 0.2500 0.1297
33 Co 0.8332 0.7500 0.9351
34 Co 0.8336 0.2500 0.9350
35 Co 0.8350 0.7500 0.1307
36 Co 0.8397 0.2500 0.7421

=====

Record 2
ZrZn20Co2: calculated powder diffractogram (Cu Ka), based on DFT lattice parameters and positions (PBE).
Intensities are scaled so that the largest is 100.

Largest 6 diffraction maxima, by angle, 5° ≤ 2θ ≤ 70°:
- 38.47°, I 100.0
- 41.25°, I 39.8
- 42.84°, I 76.2
- 43.36°, I 80.9
- 45.39°, I 24.8
- 46.87°, I 31.6

Crystal structure
Unit cell a=9.7881 b=9.7881 c=9.7881 alpha=60.00 beta=60.00 gamma=60.00
Fractional coordinates of all 46 atoms:
1 Zr 0.1250 0.1250 0.1250
2 Zr 0.8750 0.8750 0.8750
3 Zn 0.0000 0.0000 0.0000
4 Zn 0.0000 0.0000 0.5000
5 Zn 0.0000 0.5000 0.0000
6 Zn 0.0564 0.3239 0.3239
7 Zn 0.0564 0.3239 0.7957
8 Zn 0.0564 0.7957 0.3239
9 Zn 0.2043 0.6761 0.6761
10 Zn 0.2043 0.6761 0.9436
11 Zn 0.2043 0.9436 0.6761
12 Zn 0.2382 0.2382 0.5118
13 Zn 0.2382 0.5118 0.2382
14 Zn 0.2382 0.5118 0.5118
15 Zn 0.3239 0.0564 0.3239
16 Zn 0.3239 0.0564 0.7957
17 Zn 0.3239 0.3239 0.0564
18 Zn 0.3239 0.3239 0.7957
19 Zn 0.3239 0.7957 0.0564
20 Zn 0.3239 0.7957 0.3239
21 Zn 0.4882 0.4882 0.7618
22 Zn 0.4882 0.7618 0.4882
23 Zn 0.4882 0.7618 0.7618
24 Zn 0.5000 0.0000 0.0000
25 Zn 0.5118 0.2382 0.2382
26 Zn 0.5118 0.2382 0.5118
27 Zn 0.5118 0.5118 0.2382
28 Zn 0.6761 0.2043 0.6761
29 Zn 0.6761 0.2043 0.9436
30 Zn 0.6761 0.6761 0.2043
31 Zn 0.6761 0.6761 0.9436
32 Zn 0.6761 0.9436 0.2043
33 Zn 0.6761 0.9436 0.6761
34 Zn 0.7618 0.4882 0.4882
35 Zn 0.7618 0.4882 0.7618
36 Zn 0.7618 0.7618 0.4882
37 Zn 0.7957 0.0564 0.3239
38 Zn 0.7957 0.3239 0.0564
39 Zn 0.7957 0.3239 0.3239
40 Zn 0.9436 0.2043 0.6761
41 Zn 0.9436 0.6761 0.2043
+++
[The crystal structures stop here]

According to the Rashba, Rashi's question of why there is no bal tosif when we sit in sukkah on Shmini Atzeres does not get off the ground (see GR"A to O.C. 666).  Since the Chachamim made a takanah for us to keep Y"T sheni and sit in sukkah because of sfeika d'yoma, by definition there cannot be bal tosif in listening to the Chachamim and doing so.

See Netziv (on the Sheiltos 45:6) who has a novel approach to sfeika d'yoma by Shmimi Atzeres (note that the gemara always talks about why there is no malkos for bal tosif if you sleep in the sukkah on Shmini Atzeres, but never talks about bal tosif for any other Y"T sheni practice -- why is Shmini Atzeres singled out?) and works out a way to harmonize Rashi and the Rashba, but b'pashtus Rashi belongs to the camp of Tos in R"H that for some reason that does not accept the Rashba's chiddush.

1 comment:

  1. "by definition there cannot be bal tosif in listening to the Chachamim"

    even the Sanhedrin can err, adversely impacting the nation (Horayot). does Rashi clear the people of some such possibility: if the Chachamim are wrong in this case [of requiring additional sitting] or in another, your personal kavanah disclaimers* can keep that error from sticking?

    *in this case, having no "kavanah l'shem mitzvah" even on day 8 chutz la'aretz (since there is no "if", no sfeika d'yoma)
